(edited by Voluptus.3509)
Suggestion: Inerface interfering with combat
Oh, and let’s not forget the beauty of it when your mouse cursor is over the display that shows what you have targeted, it’s class and health. Nothing better than having an emergency blink burned and leave you standing in the middle of certain death.
That’s because the skill fires, goes into cooldown and you go nowhere; that’s for any of those teleports, if your mouse cursor is over the area at the top of the screen that displays the selected target.
100% agree on this – the UI is so cluttered! I would love to see the story/daily info pane and squad/party pane on tab sliders on the side and the chat pane collapsable to just the typing line. And the target info – I can’t count the number of times I’ve had target skills misfire or just not go off at all because it’s huge, center and way too low on the UI. The map-wide announcements also need to be shifted to not splash across the middle of the UI essentially halting any targeted skills until they vanish – no a little "x"on your tool tip is not enough when you are using targeted skills.
OR everything should become click thru when you enter combat.
[OURS] [quaK] [Dawn]
100% agree on this – the UI is so cluttered! I would love to see the story/daily info pane and squad/party pane on tab sliders on the side and the chat pane collapsable to just the typing line. And the target info – I can’t count the number of times I’ve had target skills misfire or just not go off at all because it’s huge, center and way too low on the UI. The map-wide announcements also need to be shifted to not splash across the middle of the UI essentially halting any targeted skills until they vanish – no a little "x"on your tool tip is not enough when you are using targeted skills.
OR everything should become click thru when you enter combat.
The UI is not clattered gw2 has a very clean UI in general the only issue is that there’s no option for mouse cursor to ignore nameplates map etc when you use skills in combat and that’s they only thing id try to change. Oh and also add bigger health bars top mobs in fractals raids certain times you need to target a specific mod and tabing until you get it takes time and also the health bar and the name plate is so small is hard to click target
After four years of playing GW2 I once again just died to npc’s because I needed to use Thief Shortbow 5 to get to a piece of ground that was covered by some of the right side interface. As you know, if you try to do anything involving the mouse coordinates when the mouse is over any part of the interface then the interface gets priority and the combat skill just doesn’t work.
Blink, same… Lightning Flash, same… Thief Staff 5, same. Do we see a pattern here?
There is a very, very simple solution to this. After all… I ask you this: Other than clicking on skills, minimap or the small line where you enter text in chat, who on earth needs to click ANY other part of the interface during combat? No one, that’s who. No one at all.
Yet all those other things, the group display, the list of dailies… all of them interfere with combat skills, and there’s no good reason for it.
Simple solution? When in combat the only parts of the interface that remain clickable are the skill bar, minimap and the line where you click to get the chat cursor. All other areas become click through until out of combat. It really shouldn’t be that hard since the in combat variable exists already, restricting a player’s ability to change skills, equipment or traits. Just key the clickable property of the interface objects to that same variable, sans the chat text box and skillbar, of course.
(These materials data were left in the page by mistake)
~~~
Starting from a crystal structure in Alexandria, relaxed with GGA-PBE, the X-ray diffraction stick pattern of Dy4Ho3Se8 was computed for copper Kα.
Intensities are scaled so that the largest is 100.

Main lines, low angle first (2θ = 10–80°):
2θ = 13.38°, d = 6.616 Å, I = 6.9
2θ = 15.46°, d = 5.730 Å, I = 4.6
2θ = 21.94°, d = 4.052 Å, I = 4.1
2θ = 25.78°, d = 3.455 Å, I = 5.6
2θ = 26.95°, d = 3.308 Å, I = 14.6
2θ = 31.22°, d = 2.865 Å, I = 100.0
2θ = 34.10°, d = 2.629 Å, I = 3.3
2θ = 44.73°, d = 2.026 Å, I = 73.9
2θ = 53.00°, d = 1.728 Å, I = 7.4
2θ = 55.56°, d = 1.654 Å, I = 25.9
2θ = 65.12°, d = 1.432 Å, I = 12.0
2θ = 73.98°, d = 1.281 Å, I = 33.1

Cell and atoms:
Cell lengths 11.459, 11.460, 8.102 Å; angles 90.00, 134.99, 90.00 degrees
Space group C2/m (No. 12)
Asymmetric unit:
Dy 0.000 0.000 0.000 (multiplicity 2)
Dy 0.000 0.500 0.500 (multiplicity 2)
Dy 0.250 0.250 0.000 (multiplicity 4)
~~~
Use combat camera? Never had this issue you are describing.